We are not products of our past and we don’t have to be prisoners of it – Unknown
After my daughter died, you could say the world ended. It was that simple. My life had come to the lowest point ever imagined. I was surrounded by complete darkness.
There was no purpose, no meaning left, so why continue living? She was only five. Suddenly, nothing mattered anymore. I had failed. Failed to protect my most prized possession. Failed horribly as a mother. I was at the bottom of the food chain. My future had been destroyed, or so I believed.
And now, for the rest of my life, I will be a grieving mother. A frightening thought and a tough pill to swallow.
Over the last ten years, I have gained wisdom far beyond my years. I was forced to grow up before my time, facing my fears and tragedies head on. Diving deep into my faith was the only answer. No one could help me or give me the magic potion to fix this pain, despite my longing to do so. My eyes were opened to a whole new world that I never knew existed. I was desperate to fast forward through this horrifying heartbreak.
[Unrelated to this entry: quantum chemistry results]
........
(1)
{"formula": "C10H16", "method": "the ωB97M-V functional and the def2-TZVPD basis", "charge": 0, "fmax_ev_per_a": 0.8, "homo_energy_ev": -9.1, "smiles": "Cc1ccccc1.CCC", "elements": ["C", "C", "C", "C", "C", "C", "C", "H", "H", "H", "H", "H", "H", "H", "H", "C", "C", "C", "H", "H", "H", "H", "H", "H", "H", "H"], "positions_angstrom": [[-2.4740, 0.6371, -0.2546], [-1.2725, 1.1651, 0.4871], [-0.2414, 1.7991, -0.2217], [0.9127, 2.1982, 0.4091], [1.1081, 1.8725, 1.7490], [0.0945, 1.2752, 2.4660], [-1.0979, 0.9328, 1.8392], [-3.0811, 0.0054, 0.3964], [-2.1363, -0.0208, -1.0642], [-3.1058, 1.4223, -0.6737], [-0.3901, 1.9189, -1.2878], [1.7011, 2.7616, -0.0788], [2.0577, 2.1266, 2.1974], [0.1803, 1.1275, 3.5303], [-1.9059, 0.5220, 2.4353], [1.2686, -1.3274, -2.2093], [1.1582, -1.3992, -0.6810], [0.2476, -2.5439, -0.2274], [0.3173, -1.0188, -2.6335], [1.5058, -2.3110, -2.6129], [2.0492, -0.6294, -2.5101], [2.1653, -1.5639, -0.2950], [0.8449, -0.4263, -0.3160], [0.4449, -3.4230, -0.8454], [0.4515, -2.8101, 0.8033], [-0.8027, -2.2906, -0.4015]], "lowdin_charge": [-0.05, -0.29, -0.08, -0.10, -0.10, -0.09, -0.06, 0.07, 0.07, 0.08, 0.12, 0.11, 0.10, 0.10, 0.11, -0.12, -0.31, -0.11, 0.06, 0.06, 0.07, 0.10, 0.06, 0.07, 0.06, 0.06]}

=====

(2)
........
What You Should Know About Grief
Grief. It was real and so very debilitating in the first few years, causing physical ailments and poor self-worth. Yet as time went on, it presented me with an incredible sense of humility and oddly, breathed new life into me.
<<<
No. 1
The following is a quantum chemistry calculation of C24H26ClIN5O6V as an isolated structure in a non-equilibrium geometry, from the Open Molecules 2025 dataset.

Atoms and positions in Å:
H: -4.72 -0.10 -3.13
H: 2.43 4.82 -1.93
O: -2.77 2.66 0.65
C: 2.41 4.69 -3.01
H: 3.40 4.92 -3.40
C: 2.04 2.70 -4.51
H: 3.05 2.45 2.01
C: 3.21 -1.88 -0.27
H: 3.33 1.79 -0.37
N: 1.21 -0.80 0.47
H: 1.40 -1.65 -1.39
N: 0.05 -1.12 3.31
O: 1.04 0.17 -2.34
O: -3.67 0.59 1.42
H: 3.72 -2.40 -1.07
C: -1.77 -2.72 3.30
H: 0.20 -1.44 4.25
C: 1.52 2.73 -0.99
C: -3.19 -2.02 -0.25
H: -2.58 -2.24 3.85
H: 1.53 0.66 -5.13
C: -4.32 -0.65 -2.29
O: -1.23 -1.29 1.47
C: 0.92 -0.08 2.78
H: -2.21 -3.37 2.55
N: 2.07 3.32 -3.31
N: 1.72 2.38 -2.35
H: -0.34 3.74 -1.35
H: -2.28 -0.22 -2.80
C: 1.42 1.17 -2.96
C: 2.30 2.72 1.28
O: -1.19 0.99 -1.30
V: -0.81 0.15 -0.05
O: -1.70 1.50 2.44
H: 1.72 4.30 -5.90
C: 1.91 -1.46 -0.46
C: -4.57 -2.00 -0.36
C: 1.79 -0.61 1.68
H: -2.72 -2.57 0.54
H: -0.64 4.39 1.02
H: 3.41 3.83 -5.70
H: 1.05 3.74 2.70
H: 4.87 -1.89 1.10
N: -2.37 -1.36 -1.08
C: 3.10 -0.98 1.93
C: 1.19 3.46 1.67
C: -0.96 -1.65 2.63
C: 2.47 2.35 -0.05
Cl: -2.47 1.37 1.20
C: 0.24 3.83 0.72
H: -6.23 -1.28 -1.53
C: -5.15 -1.30 -1.40
C: 3.84 -1.60 0.93
H: 3.53 -0.80 2.90
H: 1.53 0.27 3.61
C: 2.39 3.45 -5.75
H: 2.31 2.79 -6.61
H: 1.68 5.38 -3.44
H: -1.17 -3.31 3.99
C: 1.65 1.40 -4.35
H: 0.31 0.77 2.45
I: -5.71 -2.97 1.07
C: 0.40 3.47 -0.61
C: -2.95 -0.71 -2.10

HOMO (spin up / spin down) ... -10.5 / -10.5 eV
Relative energy (zero: lowest compared OMol25 entry of this formula, charge and spin) ... 66.23 kcal per mole
Kohn-Sham gap (spin up / spin down) ... 6.483 / 6.966 eV
Charge ... +1
Expectation value of S² ... 0.7797
2S+1 ... 2

No. 2
The following is a quantum chemistry calculation of C24H26F6FeN3O3 as an isolated structure in a non-equilibrium geometry, from the Open Molecules 2025 dataset.

Atoms and positions in Å:
C: 4.32 8.59 0.82
C: -0.57 2.84 0.26
C: -0.07 0.23 1.29
C: -1.94 3.46 2.03
F: 2.11 7.73 1.03
O: 0.00 -0.91 1.05
C: -2.57 2.37 1.34
C: -1.62 0.84 3.30
H: 3.14 0.53 1.45
C: 2.85 8.77 0.55
F: 2.38 9.91 1.15
H: 2.94 2.85 2.65
H: 8.10 8.22 1.52
C: 7.04 8.33 1.33
H: 0.57 1.37 3.85
H: 4.84 10.41 -0.22
C: 8.27 0.11 1.72
C: 8.19 1.57 2.22
H: -2.35 3.99 2.88
C: 6.14 7.34 1.78
H: 6.89 -1.39 2.50
C: 0.92 2.17 3.16
H: 8.56 0.07 0.67
H: 2.08 -0.15 2.71
H: -0.02 4.57 1.60
H: 0.24 2.84 -0.46
C: 7.53 10.43 0.06
C: 6.86 -0.47 1.90
O: 4.83 4.76 2.34
Fe: -0.74 1.81 1.98
H: 4.09 6.71 1.85
F: 8.71 10.44 0.74
F: 7.82 10.19 -1.26
H: 8.71 1.67 3.18
F: 7.01 11.69 0.13
H: 6.28 2.34 1.50
H: 0.69 3.18 3.59
C: 2.28 1.99 2.75
H: 7.63 6.24 2.71
C: -1.73 1.99 0.25
N: 6.64 6.24 2.48
C: -0.71 3.76 1.35
H: 5.10 0.53 2.30
C: 6.67 1.84 2.42
N: 6.78 4.13 3.35
C: 2.81 0.65 2.50
H: -1.97 1.25 -0.51
H: 6.83 2.40 4.51
C: 5.98 5.03 2.70
H: 8.60 2.29 1.51
H: 3.65 0.44 3.17
C: 6.56 9.41 0.60
C: 4.78 7.48 1.53
F: 2.59 8.87 -0.79
C: 5.20 9.55 0.34
H: -3.55 1.95 1.57
C: 6.33 2.76 3.60
N: 6.06 0.56 2.57
H: 7.66 4.43 3.75
>>>
I was different. Different than before the accident happened and ever so different than my friends whom I had known for years. I now attended support group meetings for bereaved parents, a foreign land, however, I found comfort knowing that these mothers understood what I was going through. We gained our strength together by sharing our stories and our children, both the happy and the sad, the good and the bad. They had been there. They got it. They appeared so strong but were also weak like me. And for the first time, I felt a tiny shimmer of hope igniting inside me.
This is where things began to change.
It had been eighteen months since my daughter Lydia had passed away and I was asked to join the board of my local chapter of The Compassionate Friends. Exploring ways to encourage and support our members, every week I saw new hurting parents join our table, revealing their own loss and heartbreak. Little did I know, this is where my heart would remain for the next five years.
It ignited in me an unyielding passion to serve others, and soon I found myself hosting birthday parties for underprivileged children, feeding the homeless under the bridge and volunteering at church. It was amazing.
The darker the night, the brighter the stars,
The deeper the grief, the closer is God!
― Fyodor Dostoyevsky
I hadn’t really volunteered much before except at my children’s school, and in college at the fire department. What I didn’t know is that volunteering not only produces a positive impact on others, but it impacts you, by transforming your heart and mind. Any type of volunteering when you are giving of yourself and your time, helping others and your community, can’t help sow seeds of love and kindness.
**Inserted here: calculated molecules**
<<<
Entry 1:
2 unconnected molecules or ions with the total composition C5H9N3OS. Source: OMol25; level of theory: ωB97M-V/def2-TZVPD.

Bonds (Å) are listed after each position.
Element x y z (Å)
1 C -0.7090 -1.7934 0.1729  C2 1.350, N7 1.391, H11 1.188
2 C -2.0548 -1.8921 0.1963  C1 1.350, S10 1.685, H12 1.091
3 C -0.9026 1.7873 -0.1659  N8 1.338, O9 1.197, H13 1.208
4 C 2.1918 -0.0043 0.7590  C5 1.479, H14 1.103, H15 1.148, H16 1.049
5 C 1.3293 1.1660 0.4861  C4 1.479, N8 1.439, H17 1.111, H18 1.123
6 N -1.1268 -0.7310 -1.7284  N7 1.329, S10 1.836, H19 0.978
7 N -0.2151 -0.9071 -0.7779  C1 1.391, N6 1.329
8 N -0.0375 0.8297 0.1893  C3 1.338, C5 1.439
9 O -0.8086 2.9786 -0.0898  C3 1.197
10 S -2.8069 -1.1295 -1.1046  C2 1.685, N6 1.836
11 H 0.2306 -2.2709 0.7207  C1 1.188
12 H -2.6915 -2.3925 0.9279  C2 1.091
13 H -1.9294 1.3276 -0.6052  C3 1.208
14 H 3.1647 0.4887 0.9261  C4 1.103
15 H 1.8674 -0.4702 1.7569  C4 1.148
16 H 2.1572 -0.5876 -0.1119  C4 1.049
17 H 1.5024 1.9924 1.2086  C5 1.111
18 H 1.7848 1.5677 -0.4581  C5 1.123
19 H -0.9461 0.0406 -2.3019  N6 0.978

F_max: 3.586 eV/Å
energy relative to the best compared isomer or geometry (same formula, charge and spin): 415.33 kJ/mol
total charge: 0
E: -22678.841 eV
HOMO energy (alpha / beta): -8.12 / -8.11 eV

---

Entry 2:
A gas-phase ion, C3H8ClIN3 (charge +1). Source: OMol25; level of theory: ωB97M-V/def2-TZVPD.

Bonds (Å) are listed after each position.
Element x y z (Å)
1 N 1.5041 1.4909 -1.2351  C2 1.390, H9 1.013, H10 1.014
2 C 0.2778 1.5402 -0.5835  N1 1.390, Cl3 1.818, C4 1.704, H11 1.090
3 Cl 0.1894 2.6348 0.8657  C2 1.818
4 C -0.0509 -0.0001 0.0682  C2 1.704, N5 1.286, C6 1.615
5 N 0.7961 -0.8151 -0.4524  C4 1.286, H12 1.017, H13 1.031
6 C -1.0847 -0.7218 1.0777  C4 1.615, N7 1.380, I8 2.274, H14 1.085
7 N -0.8462 -2.0800 1.1196  C6 1.380, H15 1.015, H16 1.010
8 I -3.0060 -0.0535 0.0605  C6 2.274
9 H 1.5704 2.1585 -1.9941  N1 1.013
10 H 2.2919 1.6322 -0.6122  N1 1.014
11 H -0.5647 1.7783 -1.2322  C2 1.090
12 H 0.8768 -1.7855 -0.1575  N5 1.017
13 H 1.4499 -0.4074 -1.1382  N5 1.031
14 H -1.0830 -0.2348 2.0471  C6 1.085
15 H -1.0467 -2.5855 0.2623  N7 1.015
16 H -1.2744 -2.5511 1.9040  N7 1.010

F_max: 3.322 eV/Å
energy relative to the best compared isomer or geometry (same formula, charge and spin): 0.00 kJ/mol
total charge: +1
E: -28327.097 eV
HOMO energy: -13.43 eV

---

Repeat the first record exactly.
2 unconnected molecules or ions with the total composition C5H9N3OS. Source: OMol25; level of theory: ωB97M-V/def2-TZVPD.

Bonds (Å) are listed after each position.
Element x y z (Å)
1 C -0.7090 -1.7934 0.1729  C2 1.350, N7 1.391, H11 1.188
2 C -2.0548 -1.8921 0.1963  C1 1.350, S10 1.685, H12 1.091
3 C -0.9026 1.7873 -0.1659  N8 1.338, O9 1.197, H13 1.208
4 C 2.1918 -0.0043 0.7590  C5 1.479, H14 1.103, H15 1.148, H16 1.049
5 C 1.3293 1.1660 0.4861  C4 1.479, N8 1.439, H17 1.111, H18 1.123
6 N -1.1268 -0.7310 -1.7284  N7 1.329, S10 1.836, H19 0.978
>>>
One Amazing Thing You Can Do to Heal a Broken Heart
Here are a few ways that volunteering helped heal my broken heart and can help you too.
Volunteering helped me take my mind off my own circumstances. Grief is sneaky, it likes to haunt you and keep you feeling down and hopeless. However, volunteering kept me occupied and made my heart empathize with others going through life challenges, realizing we are all in this together. All the while, it quietly boosted my confidence and stirred up joy that was buried in my heart.
Volunteering gives perspective. When we are in the deep throes of hurt and sorrow, we feel like we have experienced the end of the world. When in all reality, life could always be worse. Not to diminish the pain and tragedy we all go through, however, seeing the struggles of others, makes one understand that everyone suffers in life, some more than others and makes you thankful for what you do have.
Volunteering makes you focus on what really matters in life. It can help you view life in an eternal perspective, reaching far beyond this life on earth and help you see where and how you can make a difference. It provides you a sense of your purpose. You are living and doing to make others feel loved. To let them know they matter. From helping feed the homeless to impromptu conversations at the hospital with strangers or in the grocery line, there are others who could use a little hope and encouragement. And you are placed in their path for a reason. Live in awareness and don’t miss an opportunity to be a blessing to others.
Volunteering unites people. We are all unique individuals, emotional beings with tender hearts. It’s important for us to emotionally connect with others and let them know they are not alone. Forming new friendships also helps boost your own moral and aids in depleting that feeling of loneliness accompanied by grief. Giving back makes you feel part of something bigger than you.
Volunteering humbles you. It has made me tremendously grateful. Volunteering showed me the things in life I had taken for granted while offering me understanding and presented me with a renewed compassion for others. Serving others also provides an opportunity for self-reflection and meaning. With this, I learned to appreciate each new day and all the gifts I had been given in life, realizing that I was not more important that anyone else in life. That we are all equal.
Volunteering is a rewarding venture that provides fulfillment like nothing else. It gives you an internal change. A transformation of the heart. Giving backfills a void and satisfies that deep hunger for life that is hidden inside us.

In closing, I prayerfully encourage you all to consider where you can make a difference this year- whether in a small way, doing simple acts of kindness or a big way by chasing your dreams. By following through and making a commitment, you will open yourself to incredible life-changing experiences that you won’t regret. Give it a try!